
It’s the weekend!!!! Holla!
# Here the page breaks off for quantum chemistry results
Entry 1:
62
Properties=species:S:1:pos:R:3 method="wB97M-V/def2-TZVPD" e_above_lowest_kcal_mol=0.00 orbital_gap_ev=6.589 charge=+2 molar_mass_g_mol=644.9 e_homo_ev=-14.1
Ir -1.4196 0.6903 -0.8094
C 1.2116 4.0616 2.5692
C 1.1065 3.1997 3.8269
C 0.2932 3.9700 4.8782
C 2.5226 2.9356 4.3597
C 0.4230 1.8645 3.5494
C 0.2311 0.9556 4.6133
C -0.3795 -0.2672 4.4536
C -0.8228 -0.6091 3.1777
S -1.6338 -2.0548 2.6450
C -1.6861 -1.4432 1.0607
N -1.1465 -0.2468 0.9291
C -0.6413 0.2709 2.1155
C -0.0192 1.5058 2.2892
C -2.2076 -2.0063 -0.1713
C -2.7726 -3.2607 -0.3450
C -3.1247 -3.6695 -1.6242
C -2.9089 -2.8329 -2.7131
C -2.3529 -1.5670 -2.5411
C -2.0250 -1.1463 -1.2661
H 1.6984 5.0040 2.8182
H 0.2273 4.3027 2.1599
H 1.8141 3.5798 1.7942
H 0.7724 4.9276 5.0840
H 0.2260 3.4280 5.8213
H -0.7210 4.1652 4.5251
H 3.0180 3.8829 4.5745
H 3.1245 2.3953 3.6259
H 2.5107 2.3547 5.2819
H 0.5755 1.2276 5.6016
H -0.5104 -0.9358 5.2934
H 0.1116 2.1682 1.4429
H -2.9278 -3.9173 0.5025
H -3.5642 -4.6460 -1.7738
H -3.1832 -3.1628 -3.7067
H -2.1989 -0.9226 -3.3980
C -1.3772 3.5155 -2.3615
O -2.1489 2.3136 -2.0565
H -2.0537 4.2743 -2.7438
H -0.5966 3.2888 -3.0835
H -0.9424 3.8552 -1.4262
H -2.6914 2.0836 -2.8222
C 0.4799 -4.8875 -4.5969
C 0.7385 -3.7135 -3.7012
C 0.9281 -2.4329 -4.2311
C 1.1704 -1.3490 -3.4108
C 1.2173 -1.5501 -2.0350
C 1.0185 -2.8111 -1.4776
C 0.7879 -3.8852 -2.3172
S 1.4844 -0.2495 -0.9043
C 2.9757 0.5235 -1.4923
O 0.4544 0.9032 -1.3192
H 0.5245 -4.6110 -5.6478
H -0.5049 -5.3129 -4.3941
H 1.2124 -5.6750 -4.4169
H 0.8962 -2.2934 -5.3042
H 1.3119 -0.3629 -3.8369
H 1.0494 -2.9472 -0.4026
H 0.6471 -4.8729 -1.8963
H 2.9072 0.7022 -2.5627
H 3.7937 -0.1600 -1.2660
H 3.0972 1.4521 -0.9374

***

Entry 2:
21
Properties=species:S:1:pos:R:3 method="wB97M-V/def2-TZVPD" multiplicity=5 orbital_gap_ev="9.192 / 7.122" charge=+1 molar_mass_g_mol=342.4 e_homo_ev="-12.6 / -13.8"
Ir -0.5806 -1.8666 0.5223
N -0.7300 -1.6717 -1.5284
N -2.1192 -1.1914 -1.1717
C -2.7959 -1.0253 -0.0062
O -3.9527 -0.5862 -0.2785
O -2.3476 -1.2680 1.1574
H -0.3378 -0.8792 -1.8780
H -0.9203 -2.4822 -1.9878
H -2.6989 -0.9265 -1.9627
C 2.4019 2.5002 0.7434
N 2.0354 1.1873 1.2102
C 1.0600 0.3778 0.7442
N 0.3248 0.8344 -0.2859
O 0.8531 -0.7238 1.2372
H 3.2347 2.8671 1.3475
H 1.5452 3.1719 0.8429
H 2.7012 2.4405 -0.3064
H 2.5494 0.7842 1.9838
H 0.4675 1.7325 -0.7139
H -0.4054 0.2312 -0.6365
H -0.2849 -3.5061 0.9672

***

Entry 3:
11
Properties=species:S:1:pos:R:3 method="wB97M-V/def2-TZVPD" e_above_lowest_kcal_mol=208.00 orbital_gap_ev=9.207 charge=0 molar_mass_g_mol=92.1 e_homo_ev=-10.5
C -1.1803 -0.2202 1.0154
C -2.2035 -0.9079 1.3239
C 1.4900 -1.0589 -1.9751
C 0.5989 -0.8674 -1.2311
C 0.1406 0.4213 1.4287
C -0.3751 0.5869 0.0678
O -0.5428 1.7712 -0.5890
H 2.1105 -1.7741 -2.4467
H 0.0436 0.9980 2.3014
H 0.7548 -0.4873 1.5392
H -0.8367 1.5384 -1.4345

***

Entry 4:
85
This morning I ran 14 amazing miles. Part of my training includes cutting back my long runs every few weeks before I continue to progress. Last Friday I ran 18 miles and today I cut back to 14.
I’ve been trying to go all out on my shorter runs during the week and to pace myself and stay strong on the longer runs. Today was right on track- I ran a slower average per mile (about 10:50), but I finished strong!
I had a Zbar before I left and ate the half naner throughout my run. I’m experimenting with alternatives to pre-packaged things like Shot Bloks and this worked! It got pretty smushy and weird looking but it fueled me well :)
Right after I stretched and iced I had a bowl of oats that looked just like the one above. How many photos of oats can a girl really take? :-)
For lunch I baked butternut squash, asparagus and garbanzo beans. I baked the squash for an hour and toward the end added the asparagus and beans with pepper and a touch of teryaki sauce. Tasty and filling!
After lunch I had some maqui superberry juice mixed with TAZO passion tea. I’ll review it soon!
Tomorrow is Halloween!!! What are you going to be?!
### Unrelated to this page: molecular data
No. 1
35
Properties=species:S:1:pos:R:3 method="wB97M-V/def2-TZVPD" relative_energy_kcal_mol=1.1 spin_multiplicity=1 gap_ev=8.3 smiles="OCCN1CCN(C(=S)c2ccc(Br)cc2)CC1"
O 2.17 3.58 -0.97
C 2.72 2.45 -0.32
C 1.63 1.46 0.13
N 2.23 0.34 0.83
C 1.46 -0.19 1.92
C 0.16 -0.90 1.45
N 0.36 -1.41 0.11
C -0.44 -1.12 -0.92
S 0.04 -1.28 -2.50
C -1.82 -0.69 -0.66
C -2.64 -1.42 0.20
C -3.96 -1.06 0.38
C -4.47 0.03 -0.31
Br -6.29 0.53 -0.06
C -3.67 0.76 -1.18
C -2.36 0.39 -1.36
C 1.71 -1.90 -0.10
C 2.71 -0.73 -0.04
H 1.71 3.29 -1.76
H 3.44 1.94 -0.98
H 3.25 2.83 0.55
H 0.96 1.99 0.81
H 1.04 1.15 -0.75
H 2.10 -0.90 2.45
H 1.21 0.61 2.61
H -0.68 -0.19 1.43
H -0.09 -1.72 2.13
H -2.25 -2.28 0.72
H -4.60 -1.63 1.04
H -4.08 1.60 -1.71
H -1.73 0.93 -2.05
H 1.76 -2.40 -1.07
H 1.92 -2.63 0.69
H 3.67 -1.09 0.34
H 2.86 -0.33 -1.04

No. 2
96
Properties=species:S:1:pos:R:3 method="wB97M-V/def2-TZVPD" spin_multiplicity=1 gap_ev=7.6
C -7.84 0.46 -0.09
C -7.38 0.61 -1.59
O -6.03 0.09 -1.68
P -5.85 -1.06 -2.86
O -7.03 -2.00 -2.94
C -5.60 -0.39 -4.58
C -4.17 0.24 -4.89
C -3.27 0.50 -3.64
C -2.15 -0.41 -3.43
C -1.24 -0.30 -2.24
F -0.21 -1.18 -2.02
C -1.45 0.74 -1.24
Br -0.30 0.85 0.34
C -2.57 1.71 -1.48
N -2.90 2.76 -0.61
S -4.23 3.45 -1.35
N -4.50 2.55 -2.75
C -3.48 1.61 -2.67
O -4.56 -2.03 -2.35
C -4.78 -2.36 -0.94
C -4.41 -3.88 -0.64
H -8.45 -0.46 0.11
H -6.95 0.40 0.61
H -8.42 1.37 0.22
H -7.31 1.73 -1.80
H -8.10 0.20 -2.34
H -6.38 0.41 -4.73
H -5.84 -1.22 -5.30
H -3.63 -0.48 -5.57
H -4.35 1.19 -5.48
H -1.99 -1.24 -4.17
H -4.20 -1.66 -0.26
H -5.87 -2.25 -0.67
H -3.68 -3.90 0.21
H -4.01 -4.32 -1.59
H -5.34 -4.43 -0.31
O 2.11 2.31 2.48
S 3.53 2.36 2.36
O 4.39 2.23 3.51
O 3.95 3.68 1.55
C 3.50 4.95 2.05
C 4.27 5.38 3.29
C 4.05 1.18 1.15
H 2.43 4.93 2.24
H 3.67 5.68 1.26
H 4.07 4.71 4.13
H 3.98 6.38 3.59
H 5.35 5.35 3.10
H 3.44 1.29 0.26
H 3.93 0.19 1.58
H 5.10 1.35 0.92
O -0.56 -0.52 -7.64
S -1.31 -1.07 -8.73
O -2.52 -1.80 -8.52
O -0.32 -1.96 -9.63
C 0.41 -3.03 -9.01
C -0.49 -4.21 -8.69
C -1.63 0.20 -9.91
H 0.92 -2.66 -8.11
H 1.18 -3.34 -9.71
H -1.23 -3.95 -7.93
H 0.10 -5.04 -8.30
H -1.03 -4.54 -9.58
H -0.71 0.74 -10.11
H -2.37 0.86 -9.49
H -2.01 -0.26 -10.82
O 8.15 -1.82 6.83
S 8.69 -0.69 6.14
O 9.00 0.53 6.82
O 7.75 -0.35 4.87
C 6.35 -0.10 5.10
C 6.12 1.25 5.73
C 10.12 -1.19 5.23
H 5.92 -0.90 5.71
H 5.87 -0.14 4.13
H 6.54 1.30 6.74
H 5.05 1.46 5.81
H 6.59 2.04 5.15
H 9.89 -2.10 4.68
H 10.91 -1.38 5.95
H 10.41 -0.39 4.56
O 1.83 0.00 7.71
S 0.62 -0.69 7.37
O 0.61 -2.08 7.03
O -0.14 0.13 6.21
C 0.58 0.40 4.99
C 0.72 -0.85 4.13
C -0.57 -0.42 8.64
H 1.55 0.84 5.21
H 0.00 1.15 4.45
H 1.34 -1.60 4.62
H 1.17 -0.60 3.17
H -0.26 -1.30 3.95
H -0.60 0.64 8.89
H -0.26 -1.00 9.51
H -1.54 -0.77 8.30

No. 3
57
Properties=species:S:1:pos:R:3 method="wB97M-V/def2-TZVPD" relative_energy_kcal_mol=2.4 spin_multiplicity=1 gap_ev=8.0 smiles="CCOC(=O)C1=C(NC(=S)NC(=O)c2ccccc2)c2ccccc2CC12CCCC2"
C -1.40 -3.59 -0.66
C -0.95 -3.09 0.70
O 0.04 -2.08 0.51
C 0.52 -1.52 1.63
O 0.23 -1.90 2.73
Dixie and I had a blast at the dog park yesterday! I took the top two photos yesterday. Check out how much bigger she is now when compared to a similar shot I took back in June (below). She’s 9 months old now!
Today was perfect. Creamy pumpkin banana oats, a clarifying 90 min. power yoga session with Ryan, a scrumptious lunch at Infusion Tea and a big vegan cookie from Whole Foods. Perfection.
Wasn’t my lunch date gorgeous? Ryan is the best- she just lights up the room!
For lunch I went with the first meal I had at Infusion Tea- the Milton Salad and Tempeh Chili.
After lunch I stopped by Whole Foods for a vegan chocolate chip cookie. They were out so I went with a vegan everything cookie.
This cookie really had everything in it: chocolate chips, white chips, walnuts, raisins, coconut…. It was tasty, but everything might have been too much.
In the search for kombucha I enjoy, I tried a High Country Goji Berry Kombucha Tea over the last week. Today I picked up two more to try!
I love High Country kombucha!! The vinegar smell is minimal and the taste is actually pretty good. I’m going with this brand from now on.
Have you tried kombucha? What’s your favorite brand?
Wow! Thanks for your support on my big news! I’m still waiting for a call about the details (i.e. when I start work).
Mmm, hello. Wednesdays are great, right? I love them because they’re halfway to the weekend and I have swing class Wednesday nights!
For breakfast I had one three bowls of Kashi Go Lean Crunch. When it comes to sweets or cereal. Luckily I used all those carbs for fuel for a 10.7 mi. run!
Sometimes I show only close-ups of my food for this reason… I often eat at a cluttered computer desk!
Around 11am I made the bad decision to head out for a long run in the middle of the hot and humid Florida day. Let’s just say the sun wasn’t kind. I had a longer run today since I’ll be pulling back my mileage for this weekend’s long run.
Even after my run I was still pretty full from the cereal fiasco this morning! Still, I refueled with a pumpkin protein shake and granola bar.
In my shake- soy milk, canned pumpkin, a banana, brown rice protein, ice, cinnamon, vanilla, ground flax seed- and wilted spinach.
The shake was amazing before the wilted spinach. Big mistake!I’m off to enjoy my day off. I need a good shower and then I’m taking Dixie to the dog park before swing class tonight!!
I knew it would be a great day when it began with creamy pumpkin naner oats. Mmmm :)
For a mid-morning snack I had a Cascadian Farm harvest spice granola bar that I got as a sample from VegFest! It was just like the Nature Granola bars, but this one had more flavor and flax seeds! It’s quite high in sugar, but I’d eat this again.
And then I got a job! I will be doing marketing and more (personal training and some reception) for a physical therapy/ pain clinic.
I’ve been pretty quiet about my job search since I left my last marketing job because I tend to keep big things private in general. I got my personal training certification since fitness and health are my passions, but I also have a degree in PR that I actually enjoy using. While visiting gyms in the past month I knew working as a PT alone wouldn’t be right for me. I needed something more so I tried to figure out a way to merge the two. (Note: In August I began a part-time retail job to help get me by.)
After months of applying to jobs that sparked my interest- and to plenty of jobs that depressed me- I decided to post my resume online instead of just applying to specific jobs. I was soon after contacted for an interview, which led to this week. The clinic is definitely hiring me but I won’t find out the specific details until later today or tomorrow.
These past several months were some of my hardest. I went from successful and financially-secure to unemployed with no hope in the future. I’d be so anxious and worried about my future- and it affected so many other areas of my life, too. It affected how I thought of myself.
So I prayed. God then showed me that no matter how serious and desperate my problems look, he will still be in control. In the grand scheme of things, my unemployment was nothing compared to who I am or who he is in me.
I realized that, adjusted my faith and soon after got a job. Funny how things work.
Always remember every valley brings a mountain.
For lunch I brought out the grill. I had a Dr. Praeger’s burger, asparagus, yellow squash and some wilted fresh spinach with a soy ginger dressing. Now I want something sweet!
I’m not jumping up and down yet because I haven’t signed any papers, but once I do I think there should be some celebrating!!
What is your favorite thing to grill?
Happy Tuesday!
Happy weekend! How do you like our family photo? If you look closely you’ll see Kitty (who David is holding) hates her brother and sister and is growling at them! David and I were laughing so hard it was hard to take a normal-looking photo :-)
Today was VegFest!!!!!!!!
“Central Florida Veg Fest takes place in October (in honor of World Farm Animals Day) in Orlando, Florida. The themes of Veg Fest include health and wellness, vegetarian cuisine, the environment, animal welfare and rights, and community-building activism.”
VegFest wasn’t as big as we imagined, but it was still awesome! There were different sections of booths for Mind + Body, Veggie Food, Raw Food, Home and Pets. The whole event was free, pet-friendly and smoke-free. All the food served was actually vegan!
I had plenty of samples, two mini Larabars- and this vegan peanut butter brownie from Food Not Bombs. Food Not Bombs donates all their profits to feed Orlando’s homeless vegetarian and vegan meals. Now that is yummy! Enjoy the rest of your weekend!!